[To do]
Your job: find "Ba2HgSb2: optimized" and "0.2843" in the data underneath, and type out these two lines and those between.

[Source]
'''
# 1
NiH2I: optimized geometry, PBE-GGA.

Output
**Excess energy over the best structure of this formula in the dataset**: 670 meV per atom

Cell: 3.9976 3.9976 3.9976 Å, 60.00 60.00 60.00°
Last column: nearest neighbours and their distance in Å.
Fractional coordinates of all 4 atoms:
H 0.2500 0.2500 0.2500  4 I 2.45, 4 Ni 2.45
H 0.7500 0.7500 0.7500  4 I 2.45, 4 Ni 2.45
I 0.5000 0.5000 0.5000  8 H 2.45
Ni 0.0000 0.0000 0.0000  8 H 2.45

---

# 2
Ba2HgSb2: optimized geometry, PBE-GGA.

Output
**Energy relative to the elements, uncorrected**: -590 meV per atom

Cell: 6.6347 6.6347 6.9714 Å, 61.59 61.59 90.00°
Last column: nearest neighbours and their distance in Å.
Fractional coordinates of all 5 atoms:
Hg 0.0000 0.0000 0.0000  2 Sb 3.70
Sb 0.6413 0.6413 0.7173  1 Sb 2.92
Sb 0.3587 0.3587 0.2827  1 Sb 2.92
Ba 0.2500 0.7500 0.5000  4 Sb 3.50
Ba 0.7500 0.2500 0.5000  4 Sb 3.50

---

# 3
Ba2LaInO5: optimized geometry, PBE-GGA.

Output
**Energy relative to the elements, uncorrected**: -2501 meV per atom

Cell: 3.7315 7.7003 11.7198 Å, 90.00 90.00 104.02°
Last column: nearest neighbours and their distance in Å.
Fractional coordinates of all 18 atoms:
O 0.7211 0.4423 0.1492  2 La 2.45, 1 Ba 2.68
O 0.3232 0.6463 0.3898  2 La 2.44, 1 In 2.46
O 0.9511 0.9022 0.5419  2 In 2.14
O 0.3755 0.7509 0.9985  1 In 2.23, 1 La 2.38
O 0.6245 0.2491 0.4985  1 In 2.23, 1 La 2.38
O 0.5090 0.0181 0.2843  1 In 2.10
O 0.6768 0.3537 0.8898  2 La 2.44, 1 In 2.46
O 0.0489 0.0978 0.0419  2 In 2.14
O 0.4910 0.9819 0.7843  1 In 2.10
O 0.2789 0.5577 0.6492  2 La 2.45, 1 Ba 2.68
In 0.5216 0.0432 0.9588  4 O 2.10-2.23
In 0.4784 0.9568 0.4588  4 O 2.10-2.23
La 0.7835 0.5670 0.5134  6 O 2.38-2.53
La 0.2165 0.4330 0.0134  6 O 2.38-2.53
Ba 0.1387 0.2775 0.2954  5 O 2.69-2.97
Ba 0.8971 0.7942 0.1926  6 O 2.68-2.96
Ba 0.1029 0.2058 0.6926  6 O 2.68-2.96
Ba 0.8613 0.7225 0.7954  5 O 2.69-2.97

---

# 4
BiPd8Pb2: optimized geometry, PBE-GGA.

Output
**ΔH_f (0 K)**: -233 kJ/mol of formula units
**Excess energy over the best structure of this formula in the dataset**: 9 meV per atom

Cell: 4.2159 6.5510 7.8556 Å, 107.85 105.57 90.00°
Last column: nearest neighbours and their distance in Å.
Fractional coordinates of all 11 atoms:
Pb 0.7913 0.3408 0.5826  9 Pd 2.76-2.92
Pb 0.2087 0.6592 0.4174  9 Pd 2.76-2.92
Bi 0.5000 0.0000 0.0000  12 Pd 2.85-3.08
Pd 0.9634 0.2682 0.9269  1 Pb 2.79, 9 Pd 2.82-3.04, 2 Bi 2.91
Pd 0.5861 0.4573 0.1722  8 Pd 2.82-3.02, 2 Pb 2.84, 1 Bi 2.86
Pd 0.8492 0.7942 0.6985  3 Pb 2.82-2.92, 7 Pd 2.92-3.04, 2 Bi 3.08
Pd 0.3254 0.0801 0.6508  3 Pb 2.76-2.86, 1 Bi 2.85, 8 Pd 2.90-3.04
Pd 0.6746 0.9199 0.3492  3 Pb 2.76-2.86, 1 Bi 2.85, 8 Pd 2.90-3.04
Pd 0.1508 0.2058 0.3015  3 Pb 2.82-2.92, 7 Pd 2.92-3.04, 2 Bi 3.08
Pd 0.0366 0.7318 0.0731  1 Pb 2.79, 9 Pd 2.82-3.04, 2 Bi 2.91
Pd 0.4139 0.5427 0.8278  8 Pd 2.82-3.02, 2 Pb 2.84, 1 Bi 2.86

---

# 5
Cs2CaTiBr6: optimized geometry, PBE-GGA.

Output
**Energy relative to the elements, uncorrected**: -1630 meV per atom

Cell: 7.9022 7.9022 7.9021 Å, 60.00 60.00 90.00°
Last column: nearest neighbours and their distance in Å.
Fractional coordinates of all 10 atoms:
Br 0.7585 0.2415 0.0000  1 Ti 2.70, 1 Ca 2.89
Br 0.7585 0.7585 0.0000  1 Ti 2.70, 1 Ca 2.89
Br 0.2415 0.7585 0.0000  1 Ti 2.70, 1 Ca 2.89
Br 0.2416 0.2416 0.5169  1 Ti 2.70, 1 Ca 2.89
Br 0.2415 0.2415 0.0000  1 Ti 2.70, 1 Ca 2.89
Br 0.7584 0.7584 0.4831  1 Ti 2.70, 1 Ca 2.89
Cs 0.2500 0.7500 0.5000  12 Br 3.95
Cs 0.7500 0.2500 0.5000  12 Br 3.95
Ca 0.5000 0.5000 0.0000  6 Br 2.89
Ti 0.0000 0.0000 0.0000  6 Br 2.70

---

# 6
CePrUO6: optimized geometry, PBE-GGA.

Output
**Energy relative to the elements, uncorrected**: -3250 meV per atom

Cell: 5.9816 5.9816 9.3839 Å, 90.00 90.00 120.00°
Last column: nearest neighbours and their distance in Å.
Fractional coordinates of all 18 atoms:
Ce 0.0000 0.0000 0.0000  6 O 2.39
Ce 0.0000 0.0000 0.5000  6 O 2.39
U 0.3333 0.6667 0.7500  6 O 2.13
U 0.6667 0.3333 0.2500  6 O 2.13
Pr 0.3333 0.6667 0.2500  6 O 2.41
'''

[Reply]
Ba2HgSb2: optimized geometry, PBE-GGA.

Output
**Energy relative to the elements, uncorrected**: -590 meV per atom

Cell: 6.6347 6.6347 6.9714 Å, 61.59 61.59 90.00°
Last column: nearest neighbours and their distance in Å.
Fractional coordinates of all 5 atoms:
Hg 0.0000 0.0000 0.0000  2 Sb 3.70
Sb 0.6413 0.6413 0.7173  1 Sb 2.92
Sb 0.3587 0.3587 0.2827  1 Sb 2.92
Ba 0.2500 0.7500 0.5000  4 Sb 3.50
Ba 0.7500 0.2500 0.5000  4 Sb 3.50

---

# 3
Ba2LaInO5: optimized geometry, PBE-GGA.

Output
**Energy relative to the elements, uncorrected**: -2501 meV per atom

Cell: 3.7315 7.7003 11.7198 Å, 90.00 90.00 104.02°
Last column: nearest neighbours and their distance in Å.
Fractional coordinates of all 18 atoms:
O 0.7211 0.4423 0.1492  2 La 2.45, 1 Ba 2.68
O 0.3232 0.6463 0.3898  2 La 2.44, 1 In 2.46
O 0.9511 0.9022 0.5419  2 In 2.14
O 0.3755 0.7509 0.9985  1 In 2.23, 1 La 2.38
O 0.6245 0.2491 0.4985  1 In 2.23, 1 La 2.38
O 0.5090 0.0181 0.2843  1 In 2.10